im back =O


Hi again,
Been a while since I posted, but Iv finally got my tank up and running.
46 gallon bowfront with 50 pounds of LS and about 55 pounds of LR. It's been cycling for about 3 weeks now and everything seams to have spiked and settled already. I havnt put anything in yet aside from a peppermint shrimp (had a bunch of aiptasias growing) and Im trying to decide what else to put in now.
I was thinking of 2 clowns and 2-4 cardinals but im not quite sure how they will get along and seeing as my peppermint survived the cycle while eating all the aiptasias id like to keep him in there and possibly get some other shrimp. any ideas/comments?
equipment list:
Aqua clear 300 filter
remora skimmer w/ maxi get1200
visitherm heater (150w)
the lighting is just the basic light that came with the stand/tank which i think ill have to upgrade before i put any anemones in for the clownfish, although my LFS said it might work.


Whatever you do, I would do it slowly.
If you were looking at fish, I would suggest having a wide variety of fish. For example, you could do
-2 clowns
-1 royal gramma or chalk basslet or orangeback basslet (on sale at SWF.Com)
-1 wrasse (sixline, fairy or flasher)
-1 goby or blenny
You could probably also do one of the dwarf angels (flame, coral beauty) later on.
Having a variety of fish could create a more interesting tank.
Most of the fish above would be fine with most inverts. I confess I dont know much about mixing shrimp since I just have the peppermint ones.


Active Member
u can get a fire shrimp or cleaner shrimp..they go well togther..i suggest a fire shrimp cuz they are brighter then cleaner shrimp or u can get both..
i have 24g tank and i have:
-2 true perc. clowns.
-1 six line wrasse.
-2 cleaner shrimp.
-2 emerald crabs
-3 turbo snails
-4 hermit crabs.
everything goes great together in my tank..
if ur gonna get an anemones u need very bright light ur stanard light will not work..get t-5's or MH's..


*nods at darth* i plan on adding them 1 species at a time once i do put them in, thanks for the reminder though!
A few of the blennys caught my eye (scooter, orange spotted lawnmower, and midas). A fire shrimp or two would definitely look good.
Any idea of an Anemone crab would get along with clownfish or would i have to get more anemones on the opposite side of the tank or something?
went and got a pic (albeit a crappy pic) of my tank
cant quite see it but i added a hydor koralia 1(powerhead) in the corner to stir the water up a bit.

=====
Entry 1:
# Dy3Sn3Pd

A relaxed Dy3Sn3Pd crystal (PBE, Alexandria).

Cell: 11.1997 4.5196 14.8306 Å, 90.00 108.80 90.00°
Space group C2/m (No. 12)
One atom of each set of equivalent atoms:
Dy (0.0294, 0.0000, 0.3815) [4 per cell]
Dy (0.0965, 0.0000, 0.9215) [4 per cell]
Dy (0.2351, 0.0000, 0.2306) [4 per cell]
Sn (0.0196, 0.5000, 0.2338) [4 per cell]
Sn (0.1303, 0.5000, 0.0757) [4 per cell]
Sn (0.1393, 0.5000, 0.5446) [4 per cell]
Pd (0.2360, 0.5000, 0.3883) [4 per cell]

Summary:
* ΔE_f: -0.80 eV per atom
* uncorrected energy: -5.23 eV per atom

---

Entry 2:
# DySnPd2

A relaxed DySnPd2 crystal (PBE, Alexandria).

Cell: 4.7985 4.7985 6.8066 Å, 90.00 90.00 90.00°
Space group I4/mmm (No. 139)
One atom of each set of equivalent atoms:
Dy (0.0000, 0.0000, 0.0000) [2 per cell]
Sn (0.0000, 0.0000, 0.5000) [2 per cell]
Pd (0.0000, 0.5000, 0.2500) [4 per cell]

Summary:
* ΔE_f: -0.87 eV per atom
* uncorrected energy: -5.61 eV per atom

---

Entry 3:
# Dy2SnPd

A relaxed Dy2SnPd crystal (PBE, Alexandria).

Cell: 3.5560 3.5560 7.6399 Å, 90.00 90.00 90.00°
Space group P4/mmm (No. 123)
One atom of each set of equivalent atoms:
Dy (0.0000, 0.0000, 0.2231) [2 per cell]
Sn (0.5000, 0.5000, 0.5000) [1 per cell]
Pd (0.5000, 0.5000, 0.0000) [1 per cell]

Summary:
* ΔE_f: -0.77 eV per atom
* uncorrected energy: -5.37 eV per atom

---

Entry 4:
# DySn6Pd

A relaxed DySn6Pd crystal (PBE, Alexandria).

Cell: 6.3134 10.9104 6.5703 Å, 90.00 114.12 90.00°
Space group C2/m (No. 12)
One atom of each set of equivalent atoms:
Dy (0.0000, 0.0000, 0.0000) [2 per cell]
Sn (0.0454, 0.5000, 0.2644) [4 per cell]
Sn (0.1234, 0.2301, 0.7486) [8 per cell]
Pd (0.0000, 0.0000, 0.5000) [2 per cell]

Summary:
* ΔE_f: -0.25 eV per atom
* uncorrected energy: -4.47 eV per atom

---

Entry 5:
# DyTmSnPd

A relaxed DyTmSnPd crystal (PBE, Alexandria).

Cell: 7.2459 7.2459 7.2459 Å, 90.00 90.00 90.00°
Space group F-43m (No. 216)
One atom of each set of equivalent atoms:
Dy (0.0000, 0.0000, 0.0000) [4 per cell]
Tm (0.0000, 0.0000, 0.5000) [4 per cell]
Sn (0.2500, 0.2500, 0.2500) [4 per cell]
Pd (0.2500, 0.2500, 0.7500) [4 per cell]

Summary:
* ΔE_f: -0.74 eV per atom
* uncorrected energy: -5.31 eV per atom

---
=====


Active Member
tank looks good to start with, but you will want more water circulation in there. you want 10-20x gallons per hour water movement in there to prevent issues. best way would be to put a couple MJ1200's in each corner to get about 600gph to start, then work on getting some more in there if you go to corals.
I would also just double check that your heater is a submersible one. it looks like a visutherm which generally are not supposed to be submerged, but i also could be wrong.
the rockwork is nice and open, sand looks nice :) now just fill it up and enjoy everything :)


Originally Posted by renogaw
I would also just double check that your heater is a submersible one.
i actually spent like 20 min staring at the heater and reading the box/instructions because i wasnt sure of that, then i noticed the 'submersible heater' in the corner of the box so i figured i could.
visitherm products
its one of those, aside from the 'submersible heaters' part in the name i didnt see anything that said either way.


Active Member
good deal, i wish i had bought submersibles. If you want to double check it, the non submersibles have a minimum and a maximum water level mark on the glass.


Active Member
tank looks great..
u might have a hard time feeding the scooter blenny..u'll prolly need a fuge or throw a bunch of copepods and let it sit then throw in the scooter.or u might get lucky and get one that eats frozen food..i'd say get a midas..cuz the lawnmover will prolly run out of hair algea to eat...
man i sound like a a month ago i new nothing about sw tanks..i never even had a freshwater tank...but love this selling my two gas -- cars just to buy some rocks for my new 90g.anyways..great start..